4 Things You Should Look For When Choosing Assisted Living

**Someone pasted materials data at this point:**
____________
## PrNd2WN4 (PBE-GGA)

Data for a geometry-optimized PrNd2WN4 structure.

Cell and atoms, written as CIF:
```
data_PrNd2WN4
_chemical_formula_sum 'Pr4 Nd8 W4 N16'
_symmetry_space_group_name_H-M 'C m c m'
_symmetry_Int_Tables_number 63
_symmetry_space_group_name_Hall '-C 2c 2'
_cell_length_a 3.5011
_cell_length_b 12.2021
_cell_length_c 12.4493
_cell_angle_alpha 90.00
_cell_angle_beta 90.00
_cell_angle_gamma 90.00
loop_
_atom_site_label
_atom_site_type_symbol
_atom_site_fract_x
_atom_site_fract_y
_atom_site_fract_z
Pr1 Pr 0.0000 0.0889 0.2500
Nd1 Nd 0.0000 0.3691 0.0377
W1 W 0.0000 0.1702 0.7500
N1 N 0.0000 0.0000 0.0000
N2 N 0.0000 0.2670 0.6308
N3 N 0.0000 0.4260 0.2500
```

Results
**E_tot**: -8.5166 eV/atom

## PrNdY2N4 (PBE-GGA)

Data for a geometry-optimized PrNdY2N4 structure.

Cell and atoms, written as CIF:
```
data_PrNdY2N4
_chemical_formula_sum 'Pr1 Nd1 Y2 N4'
_symmetry_space_group_name_H-M 'P 1 2/m 1'
_symmetry_Int_Tables_number 10
_cell_length_a 6.1914
_cell_length_b 3.5766
_cell_length_c 6.1992
_cell_angle_alpha 90.00
_cell_angle_beta 109.41
_cell_angle_gamma 90.00
loop_
_symmetry_equiv_pos_as_xyz
'x,y,z'
'-x,-y,-z'
'-x,y,-z'
'x,-y,z'
loop_
_atom_site_label
_atom_site_type_symbol
_atom_site_fract_x
_atom_site_fract_y
_atom_site_fract_z
Pr1 Pr 0.0000 0.0000 0.0000
Nd1 Nd 0.5000 0.5000 0.0000
Y1 Y 0.0000 0.5000 0.5000
Y2 Y 0.5000 0.0000 0.5000
N1 N 0.2475 0.0000 0.7394
N2 N 0.2548 0.5000 0.2615
```

Results
**E_tot**: -8.4575 eV/atom

## PrNdYN3 (PBE-GGA)

Data for a geometry-optimized PrNdYN3 structure.

Cell and atoms, written as CIF:
```
data_PrNdYN3
_chemical_formula_sum 'Pr2 Nd2 Y2 N6'
_symmetry_space_group_name_H-M 'P 1 21/m 1'
_symmetry_Int_Tables_number 11
_cell_length_a 6.1763
_cell_length_b 3.5919
_cell_length_c 9.2873
_cell_angle_alpha 90.00
_cell_angle_beta 101.75
_cell_angle_gamma 90.00
loop_
_symmetry_equiv_pos_as_xyz
'x,y,z'
'-x,-y,-z'
'-x,y+1/2,-z'
'x,-y+1/2,z'
loop_
_atom_site_label
_atom_site_type_symbol
_atom_site_fract_x
_atom_site_fract_y
_atom_site_fract_z
Pr1 Pr 0.1495 0.2500 0.1940
Nd1 Nd 0.2695 0.7500 0.5467
Y1 Y 0.3531 0.2500 0.8621
N1 N 0.0394 0.2500 0.6764
N2 N 0.2562 0.7500 0.9892
N3 N 0.4639 0.7500 0.3410
```

Results
**E_tot**: -8.1278 eV/atom

----------

{"formula": "Tb3Sc", "functional": "PBE", "state": "optimized geometry", "lattice": [[4.928, 0.000, 0.000], [0.000, 4.928, 0.000], [0.000, 0.000, 4.928]], "species": ["Tb", "Sc", "Tb", "Tb"], "frac_coords": [[0.000, 0.500, 0.500], [0.000, 0.000, 0.000], [0.500, 0.000, 0.500], [0.500, 0.500, 0.000]], "magnetic_moment_mub_per_atom": 0.000, "total_energy_ev_per_atom": -5.017, "volume_a3_per_fu": 119.7, "relative_energy_ev_per_atom": 0.017, "ef_ev_per_atom": 0.04}

----------

# 1
Computed, not measured: Ni8SeS5 after structural relaxation at the PBE level of DFT.

The structure in POSCAR format:
```
Ni8SeS5
1.0
0.000 4.744 4.744
4.744 0.000 4.744
4.744 4.744 0.000
Ni Se S
8 1 5
Direct
0.095 0.635 0.635 Ni
0.101 0.101 0.101 Ni
0.101 0.101 0.696 Ni
____________
**Back to the entry:**

As the years go by and your parents grow older, they’ll undoubtedly have more needs on their plates. And though you may try your best to provide for them, you still fall short sometimes. After all, you have your responsibilities to take care of, so you might unknowingly neglect your parents’ needs. 

If this is your case, then you might want to consider an “assisted living” service for your parents. 

What is Assisted Living?

Simply put, assisted living is a choice for older adults who require assistance with essential daily activities, such as cooking meals, going to the bathroom, and cleaning the house. 

This service is generally in a residential facility, like a converted home or an apartment complex, and the facility provides 24-hour support and access to care. That said, assisted living facilities still encourage privacy and independence, and they will create a personalized plan for you that accommodates all your needs, both basic and special.

As of right now, the National Center for Assisted Living reports that there are about 28,900 assisted living facilities with nearly 1 million licensed beds in the United States. 

How Should You Pick the Assisted Living Facility that Suits Your Parents’ Needs?

Since an assisted living facility is your parents’ possible home in the future, you need to make sure that the facility you choose is outstanding. The last thing you want is to make your parents live in a facility that doesn’t treat them well. 

But how do you know that a facility is great for your parents? You should examine the four factors below. 

How Skilled and Trained the Staff is

An assisted living facility aims to help older people who can’t live by themselves anymore, so the staff has to be skilled and trained in caregiving. 

As such, when you visit facilities, you should inquire about the education and training of their employees. The staff could be trained at an actual nursing school, or they could have gotten their education with Lecturio. Whatever’s the case, just make sure that the employees know what they’re doing. 

The Staff-to-Patient Ratio

On a somewhat related note to the previous factor, you should also consider the facility’s staff-to-patient ratio. Are there enough employees to attend to all of the people living inside? Or are they understaffed, thus resulting in several employees exhausted every single day? 

........
A geometry-optimized HfZrCS structure, computed with GGA-PBE.

a = 3.4042 Å, b = 3.4042 Å, c = 12.1589 Å
α = 90.00°, β = 90.00°, γ = 120.00°
Closest atoms and distances in Å follow each position.
Fractional coordinates of all 8 atoms:
Hf 0.3333 0.6667 0.4008  3 C 2.31
Hf 0.6667 0.3333 0.5992  3 C 2.31
Zr 0.3333 0.6667 0.1014  3 C 2.32
Zr 0.6667 0.3333 0.8986  3 C 2.32
C 0.0000 0.0000 0.0000  6 Zr 2.32
C 0.0000 0.0000 0.5000  6 Hf 2.31
S 0.3333 0.6667 0.7454  3 Hf 2.65, 3 Zr 2.71
S 0.6667 0.3333 0.2546  3 Hf 2.65, 3 Zr 2.71

Results
Offset from the most stable computed form = 0.010 eV per formula unit
Magnetic moment = 0.000 μB/atom
Electronic total energy = -74.456 eV/cell
Theoretical density = 8.54 g/cm3



A geometry-optimized Nb4FeSnN2 structure, computed with GGA-PBE.

a = 3.1526 Å, b = 3.1526 Å, c = 13.5549 Å
α = 90.00°, β = 90.00°, γ = 120.00°
Closest atoms and distances in Å follow each position.
Fractional coordinates of all 8 atoms:
Nb 0.0000 0.0000 0.1460  3 N 2.18
Nb 0.0000 0.0000 0.8540  3 N 2.18
Nb 0.3333 0.6667 0.3241  3 N 2.19
Nb 0.3333 0.6667 0.6759  3 N 2.19
Fe 0.3333 0.6667 0.0000  6 Nb 2.69
Sn 0.0000 0.0000 0.5000  6 Nb 3.00, 6 Sn 3.15
N 0.6667 0.3333 0.2344  6 Nb 2.18-2.19
N 0.6667 0.3333 0.7656  6 Nb 2.18-2.19

Results
Magnetic moment = 0.164 μB/atom
Electronic total energy = -72.841 eV/cell
Theoretical density = 8.17 g/cm3

* * * * *

AcPr3Er2, optimized geometry, DFT PBE; excess energy over the best structure of this formula in the dataset = 180 kJ/mol of formula units; formation energy = 351.7 meV/atom; symmetry = Immm (71)
1.0
3.547 0.000 0.000
0.000 6.225 0.000
0.000 0.000 19.841
........
Back to the page >

You wouldn’t want an understaffed facility, so find a facility that has a reasonable staff-to-patient ratio. 

Fun and Social Activities

An assisted living facility may be a place for care and support first and foremost, but it is also a place for socializing and entertainment for older people.

For that reason, you should ask about what activities your assisted living facility of choice offers. Do these activities sound like fun to your parents? Additionally, does the facility offer time for their residents to do the things they like to do? 

If the answers to these questions are yes, then it’s a facility worth considering. 

The Residents

Your parents will be living in the assisted living facility for some time, so it’s crucial that they get along with their new neighbors.

Attached: materials data:
********
# 1
Here is an optimized crystal structure of KGe3Pd6 from Alexandria. Energies are from GGA-PBE.

```
data_KGe3Pd6
_cell_length_a 3.073
_cell_length_b 10.336
_cell_length_c 11.823
_cell_angle_alpha 99.08
_cell_angle_beta 90.00
_cell_angle_gamma 90.00
_symmetry_space_group_name_H-M 'P 1'
_symmetry_Int_Tables_number 1
_symmetry_space_group_name_Hall 'P 1'
loop_
_atom_site_label
_atom_site_fract_x
_atom_site_fract_y
_atom_site_fract_z
Pd1 0.250 0.549 0.919
Ge1 0.250 0.296 0.445
Pd2 0.750 0.113 0.487
Ge2 0.250 0.596 0.212
Pd3 0.250 0.326 0.237
Pd4 0.250 0.270 0.915
Ge3 0.750 0.404 0.788
Pd5 0.750 0.451 0.081
Ge4 0.750 0.704 0.555
Pd6 0.750 0.730 0.085
Ge5 0.250 0.792 0.926
Pd7 0.750 0.674 0.763
K1 0.750 0.003 0.766
Pd8 0.750 0.453 0.584
Pd9 0.250 0.887 0.513
Pd10 0.250 0.547 0.416
Pd11 0.250 0.250 0.665
K2 0.250 0.997 0.234
Ge6 0.750 0.208 0.074
Pd12 0.750 0.750 0.335
```

calculated volume	185.42	Å³/f.u.
ρ	8.0	Mg/m³
uncorrected energy	-4.923	eV per atom



# 2
Here is an optimized crystal structure of K2GePd from Alexandria. Energies are from GGA-PBE.

```
data_K2GePd
_cell_length_a 12.518
_cell_length_b 12.518
_cell_length_c 9.161
_cell_angle_alpha 46.90
_cell_angle_beta 46.90
_cell_angle_gamma 90.00
_symmetry_space_group_name_H-M 'P 1'
_symmetry_Int_Tables_number 1
_symmetry_space_group_name_Hall 'P 1'
loop_
_atom_site_label
_atom_site_fract_x
_atom_site_fract_y
_atom_site_fract_z
K1 0.375 0.160 0.750
K2 0.910 0.625 0.250
K3 0.875 0.090 0.750
Ge1 0.250 0.750 0.500
Ge2 0.500 0.500 0.000
Pd1 0.750 0.250 0.500
K4 0.840 0.125 0.250
Pd2 0.000 0.000 0.000
```

calculated volume	184.89	Å³/f.u.
ρ	2.3	Mg/m³
uncorrected energy	-3.099	eV per atom



# 3
Here is an optimized crystal structure of K3Ge8Pd3 from Alexandria. Energies are from GGA-PBE.

```
data_K3Ge8Pd3
_cell_length_a 4.561
_cell_length_b 8.433
_cell_length_c 8.433
_cell_angle_alpha 73.58
_cell_angle_beta 74.31
_cell_angle_gamma 74.31
_symmetry_space_group_name_H-M 'P 1'
_symmetry_Int_Tables_number 1
_symmetry_space_group_name_Hall 'P 1'
loop_
_atom_site_label
_atom_site_fract_x
_atom_site_fract_y
_atom_site_fract_z
Pd1 0.500 0.000 0.000
Ge1 0.626 0.084 0.664
Ge2 0.374 0.336 0.916
K1 0.188 0.812 0.812
Ge3 0.168 0.194 0.469
Ge4 0.374 0.916 0.336
Ge5 0.626 0.664 0.084
Ge6 0.832 0.531 0.806
Ge7 0.168 0.469 0.194
Pd2 0.000 0.774 0.226
Pd3 0.000 0.226 0.774
K2 0.812 0.188 0.188
K3 0.500 0.500 0.500
Ge8 0.832 0.806 0.531
```

calculated volume	292.82	Å³/f.u.
ρ	5.8	Mg/m³
uncorrected energy	-4.125	eV per atom



# 4
Here is an optimized crystal structure of KGePd3 from Alexandria. Energies are from GGA-PBE.

```
data_KGePd3
_cell_length_a 4.940
_cell_length_b 4.940
_cell_length_c 4.940
_cell_angle_alpha 90.00
_cell_angle_beta 90.00
_cell_angle_gamma 90.00
_symmetry_space_group_name_H-M 'P 1'
_symmetry_Int_Tables_number 1
_symmetry_space_group_name_Hall 'P 1'
loop_
_atom_site_label
_atom_site_fract_x
_atom_site_fract_y
_atom_site_fract_z
Pd1 0.500 0.000 0.000
Pd2 0.000 0.000 0.500
K1 0.000 0.000 0.000
********

To make sure this happens, you should bring along your parents when visiting a new facility and let them interact with the residents. See if they click or not. If they do, then the facility might be the right one for them. 


Assisted living facilities are generally cheaper than a nursing home, and their prices can vary — from $25,000 or lower to more than $50,000 a year. You should choose one that fits within your budget — but you should make sure not to compromise the quality of the facility for a low price.  

The ideal facility should both be affordable and offer outstanding services.


At some point in their lives, your parents might have a difficult time living independently. Because of this, they might be better off taking residence at an assisted living facility. 

Looking for a suitable facility for your parents may seem incredibly daunting, but the four factors mentioned above should be able to help you narrow down your choices.